Assignment:
Find the line further below that holds "-2.85 4.96", then retype that line and all lines after it there.
Source:
........
C34H29MnN6PS2Se as an isolated structure. Source: the Open Molecules 2025 dataset; level of theory: ωB97M-V/def2-TZVPD.

Summary:
* frontier orbital gap (alpha / beta): 3.519 / 4.590 eV
* energy: -172293.6929 eV
* total charge: -2
* spin multiplicity: 6
* E_HOMO (alpha / beta): 0.326 / -0.753 eV
* LUMO level (alpha / beta): 3.85 / 3.84 eV

Each line ends with the Löwdin charge.
Geometry (Å):
Mn -0.43 0.01 -0.35  0.53
S -4.19 6.04 -0.16  1.00
C -3.21 7.43 -0.36  -0.47
C -1.91 7.09 -0.56  -0.22
C -1.70 5.68 -0.56  -0.13
C -2.85 4.96 -0.35  -0.47
C -3.04 3.52 -0.25  -0.26
C -1.94 2.69 -0.37  -0.09
N -1.99 1.35 -0.27  -0.01
C -3.24 0.77 -0.11  -0.17
C -4.42 1.52 0.05  -0.19
C -5.62 0.81 0.25  -0.08
C -5.64 -0.58 0.29  -0.09
C -4.48 -1.34 0.10  -0.19
C -4.41 -2.77 0.13  -0.05
C -3.17 -3.39 -0.12  -0.27
C -2.05 -2.61 -0.35  -0.14
N -2.06 -1.26 -0.35  -0.03
C -3.27 -0.63 -0.12  -0.17
C -3.02 -4.85 -0.12  -0.47
C -1.89 -5.63 -0.18  -0.15
C -2.16 -7.02 -0.16  -0.22
C -3.49 -7.30 -0.08  -0.46
S -4.42 -5.86 -0.03  1.01
C -4.32 2.94 -0.02  -0.04
H -3.64 8.42 -0.32  0.04
H -1.11 7.80 -0.71  0.09
H -0.72 5.23 -0.69  0.10
H -0.96 3.10 -0.56  0.09
H -6.54 1.37 0.38  0.09
H -6.58 -1.10 0.46  0.09
H -5.31 -3.34 0.34  0.07
H -1.10 -3.07 -0.59  0.08
H -0.89 -5.22 -0.24  0.08
H -1.39 -7.78 -0.20  0.09
H -3.96 -8.27 -0.04  0.04
H -5.21 3.55 0.09  0.06
Se 4.35 -0.92 -2.84  0.31
C 2.92 0.08 -2.28  -0.73
N 2.12 0.57 -1.57  -0.08
C 1.20 1.11 -0.73  -0.33
C 1.66 2.34 -0.12  -0.28
C 2.70 3.14 -0.65  -0.06
C 3.09 4.31 -0.04  -0.14
C 2.48 4.77 1.13  -0.16
C 1.47 3.99 1.68  -0.13
C 1.07 2.81 1.08  -0.10
H 3.20 2.81 -1.56  0.09
H 3.89 4.90 -0.49  0.08
........
Here it is:
C -2.85 4.96 -0.35  -0.47
C -3.04 3.52 -0.25  -0.26
C -1.94 2.69 -0.37  -0.09
N -1.99 1.35 -0.27  -0.01
C -3.24 0.77 -0.11  -0.17
C -4.42 1.52 0.05  -0.19
C -5.62 0.81 0.25  -0.08
C -5.64 -0.58 0.29  -0.09
C -4.48 -1.34 0.10  -0.19
C -4.41 -2.77 0.13  -0.05
C -3.17 -3.39 -0.12  -0.27
C -2.05 -2.61 -0.35  -0.14
N -2.06 -1.26 -0.35  -0.03
C -3.27 -0.63 -0.12  -0.17
C -3.02 -4.85 -0.12  -0.47
C -1.89 -5.63 -0.18  -0.15
C -2.16 -7.02 -0.16  -0.22
C -3.49 -7.30 -0.08  -0.46
S -4.42 -5.86 -0.03  1.01
C -4.32 2.94 -0.02  -0.04
H -3.64 8.42 -0.32  0.04
H -1.11 7.80 -0.71  0.09
H -0.72 5.23 -0.69  0.10
H -0.96 3.10 -0.56  0.09
H -6.54 1.37 0.38  0.09
H -6.58 -1.10 0.46  0.09
H -5.31 -3.34 0.34  0.07
H -1.10 -3.07 -0.59  0.08
H -0.89 -5.22 -0.24  0.08
H -1.39 -7.78 -0.20  0.09
H -3.96 -8.27 -0.04  0.04
H -5.21 3.55 0.09  0.06
Se 4.35 -0.92 -2.84  0.31
C 2.92 0.08 -2.28  -0.73
N 2.12 0.57 -1.57  -0.08
C 1.20 1.11 -0.73  -0.33
C 1.66 2.34 -0.12  -0.28
C 2.70 3.14 -0.65  -0.06
C 3.09 4.31 -0.04  -0.14
C 2.48 4.77 1.13  -0.16
C 1.47 3.99 1.68  -0.13
C 1.07 2.81 1.08  -0.10
H 3.20 2.81 -1.56  0.09
H 3.89 4.90 -0.49  0.08